Many organisations today rely on software and automation tools for more efficient accounting and financial reporting. While these solutions are reliable, issues can arise when they are used in a way that can cause compliance and security risks. Technical and analytical audit procedures are designed to uncover and correct these issues.

• Attached: calculated crystals:
********
No. 1
For Ba8CaY3Cu12O24, DFT lattice parameters and positions (GGA-PBE) gives the computed X-ray powder pattern in this record (Cu Kα (λ = 1.5418 Å)).
Neutral-atom scattering factors, no anomalous dispersion.

Structural model:
Cell lengths 8.6792, 8.6792, 12.7983 Å; angles 105.77, 105.77, 52.99 degrees
Element x y z (fractional)
1 Ba 0.0749 0.0749 0.2997
2 Ba 0.1740 0.1740 0.6970
3 Ba 0.3255 0.3255 0.3029
4 Ba 0.4242 0.4242 0.6965
5 Ba 0.5758 0.5758 0.3035
6 Ba 0.6745 0.6745 0.6971
7 Ba 0.8260 0.8260 0.3030
8 Ba 0.9251 0.9251 0.7003
9 Ca 0.0000 0.0000 0.0000
10 Y 0.2487 0.2487 0.0000
11 Y 0.5000 0.5000 0.0000
12 Y 0.7513 0.7513 0.0000
13 Cu 0.0000 0.5000 0.5000
14 Cu 0.0919 0.5929 0.8674
15 Cu 0.1581 0.6591 0.1325
16 Cu 0.2495 0.7505 0.5000
17 Cu 0.3409 0.8419 0.8675
18 Cu 0.4071 0.9081 0.1326
19 Cu 0.5000 0.0000 0.5000
20 Cu 0.5929 0.0919 0.8674
21 Cu 0.6591 0.1581 0.1325
22 Cu 0.7505 0.2495 0.5000
23 Cu 0.8419 0.3409 0.8675
24 Cu 0.9081 0.4071 0.1326
25 O 0.0298 0.5298 0.1192
26 O 0.0367 0.5367 0.6480
27 O 0.0974 0.0974 0.8768
28 O 0.1590 0.1590 0.1232
29 O 0.2126 0.7127 0.3520
30 O 0.2275 0.7106 0.8759
31 O 0.2873 0.7874 0.6480
32 O 0.2894 0.7725 0.1241
33 O 0.3439 0.3439 0.8818
34 O 0.4029 0.4029 0.1182
35 O 0.4633 0.9633 0.3520
36 O 0.4702 0.9702 0.8808
37 O 0.5298 0.0298 0.1192
38 O 0.5367 0.0367 0.6480
39 O 0.5971 0.5971 0.8818
40 O 0.6561 0.6561 0.1182
41 O 0.7106 0.2275 0.8759
42 O 0.7127 0.2126 0.3520
43 O 0.7725 0.2894 0.1241
44 O 0.7874 0.2873 0.6480
45 O 0.8410 0.8410 0.8768
46 O 0.9026 0.9026 0.1232
47 O 0.9633 0.4633 0.3520
48 O 0.9702 0.4702 0.8808

Main lines, in order of falling intensity (10° ≤ 2θ ≤ 80°):
- 31.90°, intensity 100
- 32.66°, intensity 63
- 27.25°, intensity 23
- 37.53°, intensity 18
- 57.75°, intensity 18
- 57.85°, intensity 18
- 46.78°, intensity 17
- 46.94°, intensity 17
- 36.86°, intensity 12
- 50.05°, intensity 11
- 68.43°, intensity 10
- 39.65°, intensity 10

=====

No. 2
For Pr2SbO5F, DFT lattice parameters and positions (GGA-PBE) gives the computed X-ray powder pattern in this record (Cu Kα (λ = 1.5418 Å)).
Neutral-atom scattering factors, no anomalous dispersion.

Structural model:
Cell lengths 7.0971, 6.6970, 10.2322 Å; angles 90.00, 93.71, 90.00 degrees
Element x y z (fractional)
1 Pr 0.1231 0.0000 0.0342
2 Pr 0.1303 0.8101 0.6614
3 Pr 0.3702 0.3715 0.8384
4 Pr 0.3728 0.1813 0.4658
5 Pr 0.6272 0.6813 0.5342
6 Pr 0.6298 0.8715 0.1616
7 Pr 0.8697 0.3101 0.3386
8 Pr 0.8769 0.5000 0.9658
9 Sb 0.1134 0.7397 0.3224
10 Sb 0.3920 0.4449 0.1778
11 Sb 0.6080 0.9449 0.8222
12 Sb 0.8866 0.2397 0.6776
13 O 0.0478 0.1596 0.5359
14 O 0.0512 0.0156 0.2711
15 O 0.0813 0.1445 0.8138
16 O 0.1946 0.3548 0.0416
17 O 0.2021 0.4412 0.3239
18 O 0.3013 0.7435 0.1752
19 O 0.3099 0.8263 0.4612
20 O 0.4127 0.0501 0.6895
21 O 0.4481 0.0228 0.9653
22 O 0.4683 0.1755 0.2344
23 O 0.5317 0.6755 0.7656
24 O 0.5519 0.5228 0.0347
25 O 0.5873 0.5501 0.3105
26 O 0.6901 0.3263 0.5388
27 O 0.6987 0.2435 0.8248
28 O 0.7979 0.9412 0.6761
********
• Here the page continues:

Brown Auditing Services provide thorough and tailored technical auditing services for organisations in New South Wales. Here, we explore what a technical audit can involve and how to prepare for one.

Understanding Technical Audits

Technical auditing is similar to standard financial audits, however, they tend to place increased focus on the technical systems, processes and software used to report, record and verify financial information and data. Technical and analytical audit procedures aim to evaluate the effectiveness and reliability of control systems and financial reporting software. The process helps identify weaknesses, improve processes and ensure compliance.

Prepare Ahead of Time With an Technical Audit Checklist

When preparing for a technical audit, going through the following checklist is a great way of improving the outcomes and streamlining the process:

Records of crystals that have nothing to do with the text >
____________
Structure and computed powder X-ray diffraction pattern of Ba3Dy2WO9 (DFT lattice parameters and positions (PBE+U); λ = 1.5418 Å (Cu Kα)).
Lines closer than 0.1° are merged.

Main lines, low angle first (2θ = 10–90°):
| d_spacing | I/Imax | index |
| --- | --- | --- |
| 4.318 | 4 | 0 2 0 |
| 3.054 | 100 | 2 0 0 |
| 2.159 | 28 | 2 0 6 |
| 1.763 | 40 | 3 2 3 |
| 1.527 | 17 | 4 0 0 |
| 1.367 | 6 | 1 6 3 |
| 1.365 | 12 | 4 0 6 |
| 1.247 | 6 | 4 4 0 |
| 1.154 | 13 | 4 4 6 |
| 1.153 | 7 | 5 2 3 |

Structural model:
```
data_Ba3Dy2WO9
_cell_length_a 6.102
_cell_length_b 8.650
_cell_length_c 18.309
_cell_angle_alpha 90.00
_cell_angle_beta 90.00
_cell_angle_gamma 90.00
_space_group_name_H-M_alt 'I m m m'
_space_group_IT_number 71
_space_group_name_Hall '-I 2 2'
loop_
_atom_site_label
_atom_site_type_symbol
_atom_site_fract_x
_atom_site_fract_y
_atom_site_fract_z
_atom_site_occupancy
Ba1 Ba 0.000 0.235 0.000 1
Ba2 Ba 0.000 0.260 0.340 1
Dy1 Dy 0.000 0.000 0.171 1
Dy2 Dy 0.000 0.000 0.500 1
Dy3 Dy 0.000 0.500 0.500 1
W1 W 0.000 0.500 0.165 1
O1 O 0.000 0.247 0.500 1
O2 O 0.000 0.271 0.169 1
O3 O 0.228 0.500 0.089 1
O4 O 0.230 0.500 0.240 1
O5 O 0.249 0.000 0.089 1
```

~~~~~

# 1
# TbHo2Ga6
Computed XRD peak list, copper Kα. Input: DFT lattice parameters and positions (PBE).
Intensities are scaled so that the largest is 100.

Top 8 peaks for 10° ≤ 2θ ≤ 90°, by angle:
(1 1 0), 2θ 23.85, 3.731 Å, I 16; (1 1 1), 2θ 33.56, 2.670 Å, I 100; (3 0 0), 2θ 41.94, 2.154 Å, I 47; (0 0 2), 2θ 47.57, 1.912 Å, I 11; (2 2 1), 2θ 54.75, 1.677 Å, I 25; (3 0 2), 2θ 65.25, 1.430 Å, I 25; (4 1 1), 2θ 71.28, 1.323 Å, I 22; (1 1 3), 2θ 79.47, 1.206 Å, I 8

Cell and atoms:
```
data_TbHo2Ga6
_chemical_formula_sum 'Tb1 Ho2 Ga6'
_cell_length_a 7.4619
_cell_length_b 7.4619
_cell_length_c 3.8234
_cell_angle_alpha 90.00
_cell_angle_beta 90.00
_cell_angle_gamma 120.00
_symmetry_space_group_name_H-M 'P 6/m m m'
_symmetry_Int_Tables_number 191
_symmetry_space_group_name_Hall '-P 6 2'
loop_
_atom_site_label
_atom_site_type_symbol
_atom_site_fract_x
_atom_site_fract_y
_atom_site_fract_z
_atom_site_occupancy
Tb1 Tb 0.0000 0.0000 0.0000 1
Ho1 Ho 0.3333 0.6667 0.0000 1
Ga1 Ga 0.0000 0.3338 0.5000 1
```

***

# 2
# Rb3Na9Tl2
Computed XRD peak list, copper Kα. Input: DFT lattice parameters and positions (PBE).
Intensities are scaled so that the largest is 100.

Top 8 peaks for 10° ≤ 2θ ≤ 90°, by angle:
(0 0 2), 2θ 11.00, 8.042 Å, I 64; (1 0 1), 2θ 16.61, 5.338 Å, I 44; (1 1 0), 2θ 16.99, 5.219 Å, I 35; (1 2 1), 2θ 21.22, 4.187 Å, I 36; (0 3 3), 2θ 25.84, 3.447 Å, I 61; (1 2 3), 2θ 26.43, 3.372 Å, I 100; (1 3 2), 2θ 27.65, 3.227 Å, I 48; (2 3 3), 2θ 41.28, 2.187 Å, I 35

Cell and atoms:
```
data_Rb3Na9Tl2
_chemical_formula_sum 'Rb6 Na18 Tl4'
_cell_length_a 5.6590
_cell_length_b 13.5020
_cell_length_c 16.0849
_cell_angle_alpha 90.00
_cell_angle_beta 90.00
_cell_angle_gamma 90.00
_symmetry_space_group_name_H-M 'I m m m'
_symmetry_Int_Tables_number 71
_symmetry_space_group_name_Hall '-I 2 2'
loop_
____________

  • Gather relevant documentation
  • Reconcile accounts
  • Update software
  • Review policies, procedures and processes
  • Review data security measures
  • Involve relevant staff in the process
  • Flag any potential risks or issues
  • Address any previous audit findings
  • Designate a key contact for auditors

Once the audit commences, maintain open and transparent communication with your technical auditor throughout the process.

Tools for Technical Auditing

Technical audit risk assessment procedures and tools are making it easier and more efficient to evaluate financial information. This includes the ability to test entire sets of data rather than relying on limited samples. As a result, auditors can pick up on more anomalies, access better insights and achieve a more thorough compliance risk management process.

Take a Proactive Approach

### Someone pasted data records at this point
Computed XRD peak list of CaEuAlBiO6 for λ = 1.5418 Å (Cu Kα), from a cell relaxed with PBE.
No peak broadening, texture or thermal motion is included.

Cell and atoms:
abc: 8.0235 8.0235 8.0235
angles: 90.00 90.00 90.00
Space group F-43m (No. 216)
One atom of each set of equivalent atoms:
Ca 0.0000 0.0000 0.0000 [4 per cell]
Eu 0.0000 0.0000 0.5000 [4 per cell]
Al 0.2500 0.2500 0.2500 [4 per cell]
Bi 0.2500 0.2500 0.7500 [4 per cell]
O 0.0130 0.2500 0.2500 [24 per cell]

Peak list (10 most intense, 5° ≤ 2θ ≤ 70°, low angle first)
| h k l | two_theta | intensity |
| --- | --- | --- |
| 1 1 1 | 19.16 | 56 |
| 2 0 0 | 22.16 | 4 |
| 2 2 0 | 31.54 | 100 |
| 3 1 1 | 37.17 | 38 |
| 4 0 0 | 45.20 | 32 |
| 3 3 1 | 49.52 | 18 |
| 4 2 2 | 56.16 | 40 |
| 3 3 3 | 59.90 | 12 |
| 4 4 0 | 65.85 | 19 |
| 5 3 1 | 69.28 | 12 |

***

Computed XRD peak list of LiPrAg2 for λ = 1.5418 Å (Cu Kα), from a cell relaxed with PBE.
No peak broadening, texture or thermal motion is included.

Cell and atoms:
abc: 7.7801 7.5866 5.7942
angles: 90.00 90.00 90.00
Space group Pnma (No. 62)
One atom of each set of equivalent atoms:
Li 0.1179 0.2500 0.1478 [4 per cell]
Pr 0.0366 0.7500 0.3634 [4 per cell]
Ag 0.1769 0.5566 0.9112 [8 per cell]

Peak list (10 most intense, 5° ≤ 2θ ≤ 70°, low angle first)
| h k l | two_theta | intensity |
| --- | --- | --- |
| 2 1 0 | 25.74 | 28 |
| 2 1 1 | 30.07 | 38 |
| 1 2 1 | 30.42 | 59 |
| 2 2 0 | 32.99 | 100 |
| 1 1 2 | 35.11 | 51 |
| 2 2 1 | 36.54 | 24 |
| 3 0 1 | 38.01 | 47 |
| 0 3 1 | 38.86 | 28 |
| 1 3 1 | 40.62 | 35 |
| 3 3 2 | 60.28 | 39 |

***

Computed XRD peak list of CsLi2Cl3 for λ = 1.5418 Å (Cu Kα), from a cell relaxed with PBE.
No peak broadening, texture or thermal motion is included.

Cell and atoms:
abc: 12.7552 7.4300 6.9315
angles: 90.00 90.00 90.00
Space group Pbcn (No. 60)
One atom of each set of equivalent atoms:
Cs 0.0000 0.2018 0.2500 [4 per cell]
Li 0.1829 0.3490 0.7419 [8 per cell]
Cl 0.0000 0.3005 0.7500 [4 per cell]
Cl 0.2435 0.3937 0.0645 [8 per cell]

Peak list (10 most intense, 5° ≤ 2θ ≤ 70°, low angle first)
| h k l | two_theta | intensity |
| --- | --- | --- |
| 2 0 0 | 13.87 | 50 |
| 1 1 1 | 18.84 | 92 |
| 3 1 1 | 27.38 | 47 |
| 2 2 0 | 27.79 | 58 |
| 4 0 0 | 27.98 | 71 |
| 2 0 2 | 29.33 | 100 |
| 2 2 1 | 30.69 | 53 |
| 0 2 2 | 35.42 | 30 |
| 2 2 2 | 38.22 | 31 |
| 0 2 3 | 46.31 | 30 |

***

Computed XRD peak list of Rb3Sm3TiO8 for λ = 1.5418 Å (Cu Kα), from a cell relaxed with PBE.
No peak broadening, texture or thermal motion is included.

Cell and atoms:
abc: 6.9275 6.9275 19.8708
angles: 90.00 90.00 120.00
Space group R-3m (No. 166, hexagonal axes)
One atom of each set of equivalent atoms:
Rb 0.0000 0.5000 0.0000 [9 per cell]
Sm 0.0000 0.5000 0.5000 [9 per cell]
Ti 0.0000 0.0000 0.5000 [3 per cell]
O 0.0000 0.0000 0.2260 [6 per cell]
O 0.0405 0.5202 0.2208 [18 per cell]

Peak list (10 most intense, 5° ≤ 2θ ≤ 70°, low angle first)
| h k l | two_theta | intensity |
| --- | --- | --- |
| 0 0 3 | 13.37 | 45 |

By regularly reviewing and updating your quality control systems and financial reporting software, you can ensure you meet evolving industry standards and requirements. Fortunately, many accounting softwares make it easier to be proactive about compliance.

Automated monitoring tools allow you to identify and resolve anomalies and implement compliance risk management measures on an ongoing basis as part of your internal controls. This helps find issues early without needing to rely on it only being uncovered by an auditor later down the track.

Importance of Compliance

All organisations are required to comply with rules and regulations, but it goes beyond avoiding penalties. Compliance helps improve the way your organisation runs, improving its financial security, performance, relationships and reputation. When preparing for a technical audit, think about the bigger picture. Focus on improvement and how the process can help you find better ways of doing things.

Contact Us for Audit Support Services in New South Wales
For tailored technical audit risk assessment procedures and services in NSW, book a no obligation consultation with Brown Auditing Services. Call us today on 0428 661 200 or contact us online.